John Espley, LEAP UK CEO writes about the rise of remote working and the long-term benefits it can bring to a law firm.
The culture of remote working is fast becoming the norm for most companies. There are occasions when remote working is a necessity, for example when there are travel problems, bad weather, flooding, power outages, health issues or office closures.
During times of disruption, it is essential that your practice and staff are able to continue working as normally as possible. By ensuring your practice is able to function when people are working remotely, you will help protect your business from external threats.
== Quantum chemistry results, as found in the file ==
'''
Computed, not measured: 2 unconnected molecules or ions with the total composition C20H27IN7O5S, with ωB97M-V/def2-TZVPD.

Last column: Mulliken charge in e.
Element x y z (Å)
1 N -1.765 -1.325 -2.137  -0.496
2 C -0.826 -1.948 -1.179  0.429
3 N -0.843 -3.428 -1.342  -0.556
4 N -1.347 -1.697 0.178  -0.522
5 C 0.649 -1.323 -1.410  -1.220
6 C 1.667 -2.506 -1.176  0.983
7 C 2.141 -3.323 -2.275  -0.194
8 N 1.677 -2.997 -3.646  -0.518
9 C 2.382 -2.043 -3.983  0.291
10 S 3.149 -0.636 -4.231  -0.310
11 C 3.103 -4.456 -1.983  0.260
12 C 3.675 -5.365 -3.138  0.505
13 O 3.509 -5.048 -4.337  -0.674
14 O 4.344 -6.450 -2.855  -0.779
15 C 3.514 -4.701 -0.622  -0.595
16 C 3.039 -3.871 0.543  0.615
17 N 3.498 -4.229 1.802  -0.657
18 C 2.999 -3.356 2.721  -0.551
19 C 2.108 -2.203 2.452  0.272
20 C 1.636 -1.260 3.623  -0.473
21 C 1.986 0.218 3.139  0.255
22 O 1.173 1.055 2.923  -0.456
23 I 4.132 0.615 2.863  -0.036
24 N 1.640 -1.901 1.212  0.061
25 C 2.122 -2.756 0.237  -0.068
26 H -1.662 -1.752 -3.068  0.277
27 H -2.733 -1.525 -1.857  0.291
28 H -1.619 -3.832 -0.806  0.218
29 H -0.903 -3.697 -2.324  0.252
30 H -1.150 -2.479 0.802  0.293
31 H -1.012 -0.812 0.556  0.102
32 H 0.674 -0.940 -2.459  0.380
33 H 0.761 -0.523 -0.632  0.302
34 H 4.216 -5.549 -0.431  0.426
35 H 3.304 -3.525 3.792  0.269
36 H 2.172 -1.456 4.584  0.364
37 H 0.519 -1.286 3.694  0.270
38 C -0.712 4.527 2.816  -0.715
39 O -2.014 4.861 2.358  -0.356
40 C -2.009 5.849 1.329  -0.803
41 C -2.507 5.249 0.021  -0.191
42 N -1.530 4.314 -0.529  -0.295
43 C -2.032 3.536 -1.662  -0.783
44 C -3.161 2.538 -1.380  -0.520
45 O -2.773 1.462 -0.544  -0.300
46 C -2.915 1.709 0.845  -0.694
47 H -0.816 3.846 3.660  0.211
48 H -0.140 4.020 2.033  0.326
49 H -0.175 5.419 3.151  0.373
50 H -1.025 6.312 1.207  0.399
51 H -2.707 6.633 1.642  0.387
52 H -2.682 6.053 -0.700  0.388
53 H -3.463 4.750 0.223  0.193
54 H -1.245 3.670 0.199  0.022
55 H -1.180 2.973 -2.054  0.379
56 H -2.347 4.222 -2.456  0.432
57 H -3.436 2.086 -2.338  0.348
58 H -4.069 3.023 -1.004  0.353
59 H -3.750 2.380 1.065  0.358
60 H -1.986 2.111 1.259  0.161
61 H -3.102 0.752 1.336  0.318

Properties
charge = -1
HOMO level = -4.4566 eV
E_LUMO = 1.63 eV
orbital gap = 6.084 eV


Computed, not measured: a molecular structure, C20H27IrN5O3SSi, with ωB97M-V/def2-TZVPD.

Last column: Löwdin spin population.
Element x y z (Å)
1 Ir -0.293 0.203 -1.108  0.027
2 C -2.838 -2.194 -1.067  -0.001
3 Si -1.098 -1.990 -0.363  0.007
4 C -0.063 -3.473 -0.865  0.001
5 C -0.992 -1.671 1.513  0.004
6 H -3.191 -3.190 -0.787  0.000
7 H -2.836 -2.150 -2.158  0.000
8 H -3.559 -1.470 -0.688  0.000
9 H -0.621 -4.384 -0.637  0.000
10 H 0.889 -3.519 -0.334  0.000
11 H 0.143 -3.473 -1.936  0.000
12 H -1.249 -2.605 2.022  0.001
13 H -1.685 -0.903 1.859  0.000
14 H 0.022 -1.399 1.811  0.000
15 O 1.048 -1.185 -2.774  -0.002
16 C 1.939 -1.084 -1.931  0.000
17 N 1.590 -0.377 -0.807  0.012
18 C 2.667 -0.265 0.011  0.012
19 O 2.661 0.379 1.070  0.226
20 C 3.777 -1.014 -0.590  0.013
'''
== The text goes on ==
Forward thinking practices are implementing remote working policies to ensure business continuity and productivity – empowering employees to continue performing business-critical operations remotely and managing business as usual. Implementing the correct technology is one factor that is playing a vital part in helping to facilitate this move to working from home.
Cloud technology is by no means new and has become a game changer in that people can be just as productive at home as in the office. Cloud-based practice management software enables a legal professional to work anywhere and anytime and from any connected device.
A practice needs legal software that:
• Enables full management of matters and access to key information away from the office.
• Allows realtime collaboration with colleagues across various locations.
• Provides smartphone apps that allow your team to work and stay informed anywhere.
• Keeps your practice fully operational even in exceptional circumstances.
Remote working is not just about a contingency if people can’t physically be in an office. It’s the burgeoning trend of making staff more able to perform their roles without the shackles of a daily commute, enabling them to work from outside the office and giving them flexibility which can mean your team is more fulfilled and motivated.
The next generation of lawyers demand this use of remote and mobile technology and won’t consider working for a firm that does not have a laptop and mobile dominated technology structure with remote working as part of the practice culture.
The piece is interrupted by calculated molecules:
28
Properties=species:S:1:pos:R:3:forces:R:3 method="wB97M-V/def2-TZVPD" homo_ev=-11.2009 e_tot_ha=-1211.01728 total_charge=0 smiles="CCOC(=O)C(F)(F)F.CCOC(=O)C(F)(F)F" lumo_energy_ha=0.0257
F -0.33643 -2.99823 1.14831 -0.3221 -0.2383 0.0952
F -5.57099 3.07180 -2.77699 -0.1416 0.2247 -0.3627
F -0.24222 -0.85092 1.38723 0.0253 0.1283 0.2379
F -4.57513 1.17957 -2.46665 -0.0446 -0.2135 -0.1987
F -5.47212 2.22188 -0.80948 -0.0615 -0.0142 0.3013
F 0.03753 -1.72750 -0.55362 0.0893 -0.0250 -0.1764
O 2.12462 -2.92897 1.84047 -1.0326 -0.5758 0.4462
O 2.55274 -1.22918 0.49914 0.0169 0.7971 -0.5605
O -3.55876 4.27791 -1.29905 0.0156 0.9654 0.4917
O -2.41297 2.45437 -1.91133 -0.4416 -1.2774 -0.0392
C 3.48694 -2.97057 2.25768 0.9624 -0.8858 0.4211
C -4.79961 2.38419 -1.95017 0.2333 -0.4325 0.1528
C 4.35170 -3.75192 1.28616 -0.4429 -0.0589 -1.3083
C -3.49754 3.15212 -1.66767 0.2210 0.1624 -0.1909
C -1.10780 2.92341 -1.57917 0.6423 1.4357 -0.6362
C 1.77519 -1.98003 1.00054 1.3344 0.0458 0.1435
C -0.65390 2.44459 -0.22983 -0.8958 0.2042 0.6712
C 0.28103 -1.89788 0.74365 -0.4687 -0.1465 -0.1620
H 3.83012 -1.97229 2.51282 0.0856 0.0772 -0.2654
H -1.09656 4.01978 -1.59346 -0.2064 -0.1232 -0.0009
H 4.28044 -3.38119 0.25889 0.1406 0.3705 0.1917
H -1.26982 2.95924 0.51733 -0.1672 -0.1969 -0.0439
H -0.50885 2.62457 -2.43992 0.1716 -0.3405 0.3175
H 0.34704 2.76784 0.04797 0.2531 -0.3596 -0.4825
H 3.96453 -4.76972 1.19216 0.0755 -0.0408 0.3554
H 3.49956 -3.59444 3.15163 -0.4213 0.4092 0.2721
H -0.83482 1.37774 -0.11136 0.4301 -0.0490 0.0201
H 5.40605 -3.80618 1.54469 -0.0507 0.1574 0.3101



13
Properties=species:S:1:pos:R:3:forces:R:3 method="wB97M-V/def2-TZVPD" homo_ev="-8.6574 / -8.3331" e_tot_ha=-569.18903 total_charge=0 lumo_energy_ha="-0.0289 / -0.0316"
P -0.76458 2.59144 -2.00994 -0.5088 -1.0611 -2.1471
N -1.05519 0.14906 1.52821 0.2102 -0.9298 2.0355
N -0.56577 0.68938 0.51382 -0.0549 1.2588 -1.6451
C 0.43055 -0.14812 -0.10261 1.3584 -1.1033 -1.8869
C -0.46011 -1.04900 1.77428 -0.9249 -0.8197 -0.7464
C 0.25906 -1.57271 0.55006 0.0362 0.4430 -0.1405
H 0.17922 -0.25093 -1.22986 0.8323 0.6891 1.7750
H -0.44569 -2.11478 -0.18672 0.9335 0.3247 1.4731
H 0.30404 3.03430 -1.35708 1.5724 0.9421 1.5708
H 0.25600 2.11749 -2.99120 -1.1163 0.1887 0.4866
H -0.76635 -1.57974 2.65688 0.1089 -0.2126 0.1656
H 1.44881 0.34027 0.08493 -1.2289 -0.7266 -0.5030
H 1.18000 -2.20666 0.76922 -1.2180 1.0066 -0.4376
Here are some “dos” and “don’ts” about remote working:
• Have remote working as part of your business culture – make it the ‘norm’.
• Realise that a happy remote worker is a productive team worker.
• Fully include people as active participants in video conference calls.
• Make colleagues aware of your schedule.
• Communicate goals and objectives throughout your whole team.
• Realise when it’s best to use email/chat/phone/video conferencing
• Help staff understand how the technology works and how to set up new systems at home
• Assume that because someone is at home that they are on the sofa watching the TV
• Let someone be the only remote person on a poor-quality video call.
• Leave people out of key office conversations or communications.
• Leave it solely to the individual working remotely to ensure that their technology and software is secure.
Developing a remote strategy for your practice makes it easier for legal professionals to collaborate without being limited to their office desks. Remote working makes it irrelevant where work is done and gives added flexibility, be it office, home, on the move or at court.
LEAP Legal Software has been helping small to mid-sized law firms to become more efficient and profitable for more than 25 years and has more than 14,000 users in the UK.